## Given
/*
# 1
First-principles (PBE) data for EuAgP after structural relaxation, as listed in Alexandria via LeMat-Bulk.

energy relative to the elements: -664 meV/atom
space-group type: F-43m

Unit cell a=4.6748 b=4.6748 c=4.6748 alpha=60.00 beta=60.00 gamma=60.00
Closest atoms and distances in Å follow each position.
Atoms (fractional coordinates):
1 Eu 0.0000 0.0000 0.0000  4 P 2.86
2 Ag 0.5000 0.5000 0.5000  4 P 2.86
3 P 0.2500 0.2500 0.2500  4 Ag 2.86, 4 Eu 2.86

# 2
First-principles (PBE) data for TcHgCl2 after structural relaxation, as listed in Alexandria via LeMat-Bulk.

excess energy over the best structure of this formula in the dataset: 0.107 eV per atom
formation energy from raw total energies: -0.0388 eV/atom
space-group type: Cmmm

Unit cell a=3.4813 b=3.4813 c=10.7538 alpha=90.00 beta=90.00 gamma=127.66
Closest atoms and distances in Å follow each position.
Atoms (fractional coordinates):
1 Tc 0.0000 0.0000 0.0000  4 Cl 2.40
2 Hg 0.0000 0.0000 0.5000  2 Hg 3.07
3 Cl 0.5000 0.5000 0.1709  2 Tc 2.40
4 Cl 0.5000 0.5000 0.8291  2 Tc 2.40

# 3
First-principles (PBE) data for Na2GaCuF7 after structural relaxation, as listed in Alexandria via LeMat-Bulk.

formation energy from raw total energies: -2.4104 eV/atom
space-group type: C2/c

Unit cell a=7.2725 b=7.2725 c=12.9971 alpha=106.88 beta=106.88 gamma=61.16
Closest atoms and distances in Å follow each position.
Atoms (fractional coordinates):
1 Na 0.0000 0.0000 0.0000  2 F 2.17
2 Na 0.0000 0.0000 0.5000  2 F 2.17
3 Na 0.2176 0.2884 0.7491  5 F 2.32-2.51
4 Na 0.2284 0.7716 0.7500  6 F 2.46-2.70
5 Na 0.2884 0.2176 0.2491  5 F 2.32-2.51
6 Na 0.7116 0.7824 0.7509  5 F 2.32-2.51
7 Na 0.7716 0.2284 0.2500  6 F 2.46-2.70
8 Na 0.7824 0.7116 0.2509  5 F 2.32-2.51
9 Ga 0.0000 0.5000 0.5000  6 F 1.90-1.95
10 Ga 0.2434 0.7566 0.2500  6 F 1.92-1.94
11 Ga 0.5000 0.0000 0.0000  6 F 1.90-1.95
12 Ga 0.7566 0.2434 0.7500  6 F 1.92-1.94
13 Cu 0.0000 0.5000 0.0000  6 F 1.96-2.13
14 Cu 0.5000 0.0000 0.5000  6 F 1.96-2.13
15 Cu 0.5000 0.5000 0.0000  4 F 1.95-1.97
16 Cu 0.5000 0.5000 0.5000  4 F 1.95-1.97
17 F 0.0071 0.4113 0.3442  1 Ga 1.95
18 F 0.0074 0.9010 0.3263  1 Ga 1.92
19 F 0.0834 0.6014 0.1552  1 Ga 1.94, 1 Cu 1.96
20 F 0.0990 0.9926 0.1737  1 Ga 1.92
21 F 0.1884 0.2224 0.5328  1 Ga 1.90
22 F 0.2025 0.5480 0.9501  2 Cu 1.95-1.97
23 F 0.2172 0.6019 0.5352  1 Ga 1.94, 1 Cu 1.97
24 F 0.2224 0.1884 0.0328  1 Ga 1.90
25 F 0.3843 0.5182 0.3245  1 Ga 1.92
26 F 0.3981 0.7828 0.9648  1 Ga 1.94, 1 Cu 1.97
27 F 0.3986 0.9166 0.3448  1 Ga 1.94, 1 Cu 1.96
28 F 0.4113 0.0071 0.8442  1 Ga 1.95
29 F 0.4520 0.7975 0.5499  2 Cu 1.95-1.97
30 F 0.4818 0.6157 0.1755  1 Ga 1.92
31 F 0.5182 0.3843 0.8245  1 Ga 1.92
32 F 0.5480 0.2025 0.4501  2 Cu 1.95-1.97
33 F 0.5887 0.9929 0.1558  1 Ga 1.95
34 F 0.6014 0.0834 0.6552  1 Ga 1.94, 1 Cu 1.96
35 F 0.6019 0.2172 0.0352  1 Ga 1.94, 1 Cu 1.97
36 F 0.6157 0.4818 0.6755  1 Ga 1.92
37 F 0.7776 0.8116 0.9672  1 Ga 1.90
38 F 0.7828 0.3981 0.4648  1 Ga 1.94, 1 Cu 1.97
39 F 0.7975 0.4520 0.0499  2 Cu 1.95-1.97
40 F 0.8116 0.7776 0.4672  1 Ga 1.90
41 F 0.9010 0.0074 0.8263  1 Ga 1.92
42 F 0.9166 0.3986 0.8448  1 Ga 1.94, 1 Cu 1.96
43 F 0.9926 0.0990 0.6737  1 Ga 1.92
44 F 0.9929 0.5887 0.6558  1 Ga 1.95

Number 1: electronic total energy -6.842 eV/atom, spin magnetization 7.0 μB per cell. Number 2: electronic total energy -3.629 eV/atom, spin magnetization 2.0 μB per cell. Number 3: electronic total energy -4.489 eV/atom, spin magnetization 4.0 μB per cell.

----------

Entry 1:
Density functional theory data (PBE-GGA) for crystalline Zr2TiTe at its relaxed geometry.

```
data_Zr2TiTe
_space_group_name_H-M_alt 'C 1 2/m 1'
_space_group_IT_number 12
_cell_length_a 14.8350
_cell_length_b 3.6439
_cell_length_c 6.8053
_cell_angle_alpha 90.00
_cell_angle_beta 90.01
_cell_angle_gamma 90.00
loop_
_space_group_symop_operation_xyz
'x,y,z'
'-x,-y,-z'
'-x,y,-z'
'x,-y,z'
'x+1/2,y+1/2,z'
'-x+1/2,-y+1/2,-z'
'-x+1/2,y+1/2,-z'
'x+1/2,-y+1/2,z'
loop_
_atom_site_label
_atom_site_fract_x
*/

## Brief
The reader should give back the lines further above up to the one that holds "_cell_length_b 3.6439", that line included.

## Here it is
# 1
First-principles (PBE) data for EuAgP after structural relaxation, as listed in Alexandria via LeMat-Bulk.

energy relative to the elements: -664 meV/atom
space-group type: F-43m

Unit cell a=4.6748 b=4.6748 c=4.6748 alpha=60.00 beta=60.00 gamma=60.00
Closest atoms and distances in Å follow each position.
Atoms (fractional coordinates):
1 Eu 0.0000 0.0000 0.0000  4 P 2.86
2 Ag 0.5000 0.5000 0.5000  4 P 2.86
3 P 0.2500 0.2500 0.2500  4 Ag 2.86, 4 Eu 2.86

# 2
First-principles (PBE) data for TcHgCl2 after structural relaxation, as listed in Alexandria via LeMat-Bulk.

excess energy over the best structure of this formula in the dataset: 0.107 eV per atom
formation energy from raw total energies: -0.0388 eV/atom
space-group type: Cmmm

Unit cell a=3.4813 b=3.4813 c=10.7538 alpha=90.00 beta=90.00 gamma=127.66
Closest atoms and distances in Å follow each position.
Atoms (fractional coordinates):
1 Tc 0.0000 0.0000 0.0000  4 Cl 2.40
2 Hg 0.0000 0.0000 0.5000  2 Hg 3.07
3 Cl 0.5000 0.5000 0.1709  2 Tc 2.40
4 Cl 0.5000 0.5000 0.8291  2 Tc 2.40

# 3
First-principles (PBE) data for Na2GaCuF7 after structural relaxation, as listed in Alexandria via LeMat-Bulk.

formation energy from raw total energies: -2.4104 eV/atom
space-group type: C2/c

Unit cell a=7.2725 b=7.2725 c=12.9971 alpha=106.88 beta=106.88 gamma=61.16
Closest atoms and distances in Å follow each position.
Atoms (fractional coordinates):
1 Na 0.0000 0.0000 0.0000  2 F 2.17
2 Na 0.0000 0.0000 0.5000  2 F 2.17
3 Na 0.2176 0.2884 0.7491  5 F 2.32-2.51
4 Na 0.2284 0.7716 0.7500  6 F 2.46-2.70
5 Na 0.2884 0.2176 0.2491  5 F 2.32-2.51
6 Na 0.7116 0.7824 0.7509  5 F 2.32-2.51
7 Na 0.7716 0.2284 0.2500  6 F 2.46-2.70
8 Na 0.7824 0.7116 0.2509  5 F 2.32-2.51
9 Ga 0.0000 0.5000 0.5000  6 F 1.90-1.95
10 Ga 0.2434 0.7566 0.2500  6 F 1.92-1.94
11 Ga 0.5000 0.0000 0.0000  6 F 1.90-1.95
12 Ga 0.7566 0.2434 0.7500  6 F 1.92-1.94
13 Cu 0.0000 0.5000 0.0000  6 F 1.96-2.13
14 Cu 0.5000 0.0000 0.5000  6 F 1.96-2.13
15 Cu 0.5000 0.5000 0.0000  4 F 1.95-1.97
16 Cu 0.5000 0.5000 0.5000  4 F 1.95-1.97
17 F 0.0071 0.4113 0.3442  1 Ga 1.95
18 F 0.0074 0.9010 0.3263  1 Ga 1.92
19 F 0.0834 0.6014 0.1552  1 Ga 1.94, 1 Cu 1.96
20 F 0.0990 0.9926 0.1737  1 Ga 1.92
21 F 0.1884 0.2224 0.5328  1 Ga 1.90
22 F 0.2025 0.5480 0.9501  2 Cu 1.95-1.97
23 F 0.2172 0.6019 0.5352  1 Ga 1.94, 1 Cu 1.97
24 F 0.2224 0.1884 0.0328  1 Ga 1.90
25 F 0.3843 0.5182 0.3245  1 Ga 1.92
26 F 0.3981 0.7828 0.9648  1 Ga 1.94, 1 Cu 1.97
27 F 0.3986 0.9166 0.3448  1 Ga 1.94, 1 Cu 1.96
28 F 0.4113 0.0071 0.8442  1 Ga 1.95
29 F 0.4520 0.7975 0.5499  2 Cu 1.95-1.97
30 F 0.4818 0.6157 0.1755  1 Ga 1.92
31 F 0.5182 0.3843 0.8245  1 Ga 1.92
32 F 0.5480 0.2025 0.4501  2 Cu 1.95-1.97
33 F 0.5887 0.9929 0.1558  1 Ga 1.95
34 F 0.6014 0.0834 0.6552  1 Ga 1.94, 1 Cu 1.96
35 F 0.6019 0.2172 0.0352  1 Ga 1.94, 1 Cu 1.97
36 F 0.6157 0.4818 0.6755  1 Ga 1.92
37 F 0.7776 0.8116 0.9672  1 Ga 1.90
38 F 0.7828 0.3981 0.4648  1 Ga 1.94, 1 Cu 1.97
39 F 0.7975 0.4520 0.0499  2 Cu 1.95-1.97
40 F 0.8116 0.7776 0.4672  1 Ga 1.90
41 F 0.9010 0.0074 0.8263  1 Ga 1.92
42 F 0.9166 0.3986 0.8448  1 Ga 1.94, 1 Cu 1.96
43 F 0.9926 0.0990 0.6737  1 Ga 1.92
44 F 0.9929 0.5887 0.6558  1 Ga 1.95

Number 1: electronic total energy -6.842 eV/atom, spin magnetization 7.0 μB per cell. Number 2: electronic total energy -3.629 eV/atom, spin magnetization 2.0 μB per cell. Number 3: electronic total energy -4.489 eV/atom, spin magnetization 4.0 μB per cell.

----------

Entry 1:
Density functional theory data (PBE-GGA) for crystalline Zr2TiTe at its relaxed geometry.

```
data_Zr2TiTe
_space_group_name_H-M_alt 'C 1 2/m 1'
_space_group_IT_number 12
_cell_length_a 14.8350
_cell_length_b 3.6439